All this time and Sniper's Shot still sucks?

Discussion in 'Ranger' started by ARCHIVED-littleman17, Jun 18, 2009.

  1. ARCHIVED-Zizzu Guest

    Webin@Befallen wrote:
    I think you are missing my point. This is not about getting an edge "dps" wise over the assassin class. It's about mechanics and bringing some of our CAs inline with our counterparts. For example: There is no signiicant edge if you just increase the casting timer on Sniper and just leave the recast timer the same.
    I'm not a top-end raider. My guild has killed mobs like Mynzak, Xebnok, and Kultak. So, I have some decent raiding gear, but not the best. As of right now, my overall dps is not as good before the GU 52. Currently, our assassin will beat me on trash fights, but I will win the longer single named fights. (And yes, our gear is pretty close)
    I'm sure Gage or someone can remark about the "end" game dps. I think once you hit your 5/6 TSO set and obtain some end boss gear that the dps become more even.
  2. ARCHIVED-Ranja Guest

    Lohkei wrote:
    This conversation is not about parsing - it is about wasted CAs. I am tops in ZW as well most of the time in my guild when we raid, but who cares I still want some pathetic ill - thought out CAs changed. Stream does not bother me at all since it is a t6 CA. Coverage and hawk really get me though.
    A DPS class gets for their 65 skill a frickin hate transfer. That is Aerlick at his best saying " FU rangers"
  3. ARCHIVED-WebinKaltani Guest

    Zizzu@Antonia Bayle wrote:
    Reducing the cast time on sniper shot would let us get in an additional auto-attack, increasing our DPS. It's not a huge difference, but it's measurable. There are DPS consequences to virtually any change they might make to our class.
    A race car with 7 cylinders that can drive as fast (or faster) than it's competition would dominate if it were to run on all 8 cylinders. I agree that the CA issues we're talking about here are irritating, but they have the net affect of keeping us roughly balanced with Assassins, then we shouldn't bother complaining.
  4. ARCHIVED-spun14 Guest

    I think we're going to be stuck with them until the next expansion at least at this point in time. Then they'll either upgrade them and we'll just be more ticked off then we already are about them or they won't continue those lines. (Which would be the best thing) or just add in an AA line which will lower the cast time or make it more effective instead of fixing them. Guess they need ideas for AA's and theres nothing better then fixing a problem when just adding in an end AA rather then reworking them from the ground up.

    Even with broken CA's rangers still find thier way to the top half of the parse and i think the majority of that is purly from auto attack dmg. It's pretty evident if you do mobs like Dig or Levi or some in VP where you jsut can't get the range for your ranged CA's and you still do fairly compairable DPS. (No not fully on par but you can put out some good numbers still).
  5. ARCHIVED-Lohkei Guest

Formula: C10H16N2O3
Source: the OMol25 dataset
Level of theory: ωB97M-V/def2-TZVPD

```
31
Properties=species:S:1:pos:R:3:mulliken_charge:R:1
C 3.77018 -1.00762 0.37373 -0.410
H -4.30625 1.71313 1.41013 0.368
C 1.08210 -1.08651 -0.37361 -0.540
H -2.09125 2.27521 0.38362 0.167
H 2.07210 1.45394 -1.39973 0.253
H 2.09851 -1.47756 1.50033 0.313
H 1.34476 -1.03597 -1.40094 0.311
C -2.62889 1.28861 0.22270 -0.327
H 4.25033 -1.37620 1.22335 0.420
H -4.16152 -2.12185 -0.18562 0.210
H -5.40079 -0.42463 0.93384 0.438
C 0.91528 0.35919 0.00816 0.202
H 1.31997 3.44745 -0.54716 0.281
C -3.80287 0.97371 0.83069 -0.518
N 1.67729 1.44465 -0.46260 0.099
H 0.52058 1.39043 1.55817 0.464
C -2.64093 -0.80114 -0.93539 -0.310
H 0.06985 2.42291 -0.21462 0.199
O 4.37815 -1.32698 -0.84551 -0.513
H 3.60902 0.09855 0.45476 0.211
H 0.12778 -1.55615 -0.20241 0.349
C -4.42973 -0.22114 0.58072 -0.502
H -2.30993 -1.48997 -1.74213 0.381
O -0.76587 0.67027 -1.21248 -0.759
O 0.33814 0.52095 1.16565 -0.391
C -2.00432 0.45153 -0.72237 0.653
H 2.22539 -2.78063 0.16462 0.331
N 1.04913 2.69522 -0.02360 -0.696
C 2.28887 -1.69495 0.40777 -0.627
C -3.79725 -1.05347 -0.28112 -0.367
H 5.20218 -1.75095 -0.66894 0.311
```

## Properties
* highest occupied orbital energy: -0.2648 hartree
* spin multiplicity: 1
* net charge: 0
* strongest force on any atom: 4.62 eV Å⁻¹
* frontier orbital gap: 7.8 eV
* ΔE to the lowest compared entry with this formula, charge and spin: 4.2400 eV

* * * * *

No. 1
Below is a 10-piece molecular cluster, C23H46Cl4F6O21P overall, with properties calculated with the ωB97M-V functional and the def2-TZVPD basis.

Structure (ORCA input):
```
! RIJCOSX wB97M-V def2-TZVPD def2/J DEFGRID3
* xyz -1 1
P 0.8315 1.0985 0.3974
F 0.5916 -0.0840 1.4945
F -0.4866 0.6003 -0.4434
F -0.0470 2.1349 1.3047
F 1.1709 2.1827 -0.7499
F 2.2249 1.4815 1.1923
F 1.5878 -0.0053 -0.6216
C -0.3036 -1.8096 -5.1455
O 0.2077 -3.1163 -5.2536
C -0.5738 -4.2045 -5.3822
O -1.7854 -4.2108 -5.4058
O 0.2370 -5.2740 -5.3624
C -0.3736 -6.5800 -5.5389
H -0.8947 -1.7508 -4.2316
H -0.9824 -1.5830 -5.9677
H 0.4764 -1.0505 -5.0862
H -1.2879 -6.6909 -4.9560
H 0.2846 -7.3347 -5.1084
H -0.5632 -6.8739 -6.5713
C 1.6659 4.1181 5.0630
O 1.3910 5.3407 4.3561
C 2.2051 5.8457 3.4181
O 3.3243 5.3536 3.1196
O 1.6915 6.9215 2.7748
C 0.5452 7.5882 3.2250
H 2.1873 3.4750 4.3540
H 0.7791 3.5144 5.2559
H 2.1577 4.2235 6.0301
H 0.7523 8.2988 4.0251
H -0.2119 6.8460 3.4780
H 0.1293 8.1525 2.3903
C -5.8923 -0.4622 -0.3971
O -7.1321 0.0602 -0.7790
C -7.1586 0.9840 -1.7397
O -6.1677 1.3974 -2.3180
O -8.4003 1.1994 -1.9924
C -8.7460 1.8870 -3.1909
H -5.0951 0.2707 -0.5215
H -5.5796 -1.3475 -0.9508
H -5.9182 -0.7114 0.6637
H -8.6564 2.9561 -2.9981
H -9.7068 1.5673 -3.5944
H -8.0726 1.5200 -3.9655
C 6.0783 -2.0936 0.5694
O 5.9294 -1.5701 -0.7421
C 5.9420 -0.2613 -1.0104
O 6.1721 0.6025 -0.1882
O 5.6658 0.0137 -2.3346
C 5.4175 -0.9437 -3.3028
H 5.9122 -3.1630 0.4400
H 5.3258 -1.5933 1.1789
H 7.0189 -1.9582 1.1034
H 4.6808 -1.6306 -2.8863
[Here the text continues]

    It ends up with parsing.. But is it truely about CA's.. Stream of arrows, hawk attack and coverage. At best sniper shot is a 4 second cast with a 10 minute reuse.
    Look at the Sta line. Surrounding Attacks first one reads.. a 3.5% chance to hit targets that you are facing that are within meele range. If you stand in the "sweet spot", ya know the spot where you can use meele and ranged ca's and still use your bow's attack attack. Guess what. You are not in meele range and your meele weapons will never go off on the mob unless you macro your ranged attack or step forward for your meele weapons will hit the mob. Not the greatest line but not much there for rangers.
    Wisdom line, Obfuscation can increase dmg of the next CA by 8%, I forget what the speed up time is max for steath and stalk. Trying to use this and get any kinda dmg increase is just as fun as trying to pronounce it.

    Ah well. No worries the station cash market place is working fine.
  6. ARCHIVED-littleman17 Guest

    How's this for a ground up rework of Repeating Arrows? Instead of a trap (though, it'd be equally awesome), they simply make it a buff? Once cast, it applies arrow flow to each of your attacks. Each time you auto attack, x number of extra arrows are also fired. The number would go up with the level of the spell, as well as the quality of the spell. Perhaps at master of the highest level version, each AA is follow by...6 extra shots? Each consecutive shot does less damage than a normal AA, cannot crit and consumes an arrow. Lasts... 10 seconds? O rmaybe put it on a charge limit. Three shots?
    If it were three shots, we'd essentially be able to hit an enemy 21 times with only three AA. Though, as I said, the power of each extra attack is a deal lower than our normal AA. Say... 75% for the first, 50% for the second, 25% for the third, and 10% for all other shots afterward.
  7. ARCHIVED-Neiloch Guest

    This isn't the case though Webin. We aren't in line. An assassin with lesser gear can beat a ranger if both played equally well. And this is a DIRECT problem of CA's being out of balance. I don't think that is the problem though, in terms of things GETTING balanced anyway. I think the problem is there aren't as many skilled rangers out there as skilled Assassins. This can be due to being more assassins which can be attributed to assassins being supposedly easier to play and get more DPS out of with less effort. Its frustrating as all hell but until more people are playing rangers well, or least just more people playing rangers they can only really try and balance things 'on paper', they very well can't balance a small selection of players of one class against several times more of another. Predators in general aren't being played much either since most high end raiding guilds fill up spots sorcerers and predators would fill up with enchanters and bards. They only get brigands and swashies to a lesser extent for debuffs, not DPS.
  8. ARCHIVED-Zizzu Guest

    Webin@Befallen wrote:
    And you are assuming our auto attack hits for 100%???? Think again. Since you do not raid, then you have no idea how many times our auto attack will and can miss. I suggest you grab ACT and try it on a long named fight and see how many misses you will get from auto attack. Missing just one is huge for us. And you think increasing Sniper casting time is earthshattering??? /sigh
    Our auto attack, at best, is 4 seconds if you are haste maxed. Taking Simper from 3+ seconds to 1 second is not game changing.
  9. ARCHIVED-WebinKaltani Guest

    Zizzu@Antonia Bayle wrote:
    OK, simmer down Zizzu. All I was saying was that Sniper's cast time is such that it pretty much requires us to miss an auto attack (whether it hits or not is irrelevant to the discussion), and that missed AA is part of the factored into our "overall DPS" when looking at class balance. Right now, in my estimation, SOE (and not just Aeralik) considers rangers and assassins to be relatively balanced, so you shouldn't really hope they'll tinker with our mechanics.

    And please, there's no need to insult me. It's impolite, and factually incorrect. I've been a ranger, and only a ranger, for more than four years now. It's my ONLY level 80 toon, and I have a fairly deep understanding of how the class works. I've done plenty of raiding in the past (end of EoF/early Kunark was my raiding peak), but focus on other things these days. I have an idea how many AA's miss, how ACT can be the mother of my unborn children, and the importance of hitting each and every AA. In fact, in terms of knowledge/skill, I am probably one of the best Ranger's on my server (behind the raiders who really focus in on it). I rarely meet a ranger on my server who can beat me on the parse without raid-level gear. Egotistical? Don't need to be, I'm just good. I know what I'm doing when I nock and arrow.

    I've given my opinion about sniper shot. I doubt it will get fixed. I doubt you'll change your mind. I think we're done here.
  10. ARCHIVED-Ranja Guest

    Zizzu@Antonia Bayle wrote:
    Actually it would increae the DPS of the skill. DPS = damage/time. So yes by reducing the cast time of Sniper you are increase the DPS efficiency of that skill. For example (and I am using simple numbers)
    400/4 sec = 100 DPS
    400/1sec = 400 DPS.
    So yes, lowering the cast timer of sniper shot would increase its DPS.
  11. ARCHIVED-Zizzu Guest

    Webin@Befallen wrote:
    For one thing, I never gave hope that this would be fixed. Second, your arguement was flawed. I will debate anyone who thinks Sniper, Coverage, and Repeating Arrows is just fine and balanced. You, Aeralik, or SoE cannot justify that these CAs are in working condititon.
    I never "intended" to jump your case, however, I wanted to point out that your reasoning was incorrect.
  12. ARCHIVED-Zizzu Guest

    Ranja wrote:
    And this math is under the assumption that Auto attack hits for 100% every time? It does not.
    If SoE gave us 100% hit rate on auto attack, then I could care less about Sniper at all.
  13. ARCHIVED-wooglyboogly Guest

    First let me say this is coming from a raiders viewpoint and I agree sniper shot does not QUITE compare to excecute (WTB shorter cast time). But none the less, you all make it out to be worthless..
    To the person who said it causes you to miss an auto NEVER miss an auto attack because you are casting, you simply delay it untill your done casting.
    As for the damage, with all the base damage/crit bonus now 70k+ sniper shots are not out of the question. You can look up my gear, I have no super avatar or anashti gear yet and I consistantly see 60k+ sniper shots in raid AND group settings. Although I don't do many instances at all. My high hit so far is 72.6k on Xebnok. With a jcap the recast is down to around 8min i believe. That sort of damage makes it worth the 3.5sec cast i say, even though I would love to take another .5-1second off :)
    Coverage..It goes agianst our myth...BRILLANT!!!!
    Having played an 80 assassin with myth and endlines, the DPS definitly comes easier/faster, but you can't put a price on ranged dps on certian mobs and thats where the balance comes into place.
  14. ARCHIVED-Lohkei Guest

    No worries, they are gonna come out with a new expansion that will increase the lvl cap to 90 and aa's to whatever. Bet'cha plat that coverage, sniper shot and stream will stay the same.. :)
    On the bright side the station cash market place is working just fine.
  15. ARCHIVED-Neiloch Guest

    My auto hit rate is usually never under 90%

    The problem, at least I think, is the role they seem to want rangers to play in DPS. Rangers have very good sustainable and consistent DPS. For me an example would be on palace trash I always do 10-12k dps, I never do less and that is every fight, people beat me but the player it is usually changes from fight to fight. This gives us a significant edge on longer fights. Problem is that the goal of every person in the game who kills things is to kill things as fast as possible, giving people who can do quick spike damage at the beginning of a fight an advantage once a group of people are all significantly equipped.

    Coverage can be used and still use the myth bonus but i think they thought of it in their head/on paper and really didn't try it much, because it is kind of a pain. What I do is start out the typical 5 meters, cast rear shot while also moving backwards (rear shot can be casted while moving) then after it goes off and I am far enough away i cast coverage, move back into 5 meters while still invis from coverage and cast sniper shot. Usually also have focus aim up this entire time as well.

    I've pretty much given up on stream of arrows. Think someone even has it in their sig but only way I could see stream usable if they took off daze and made it possible to auto between shots. and they BETTER NOT DO THAT THROUGH AN AA SKILL. One things to make skills better with AA quite another to take something broken and useless and make players use AA points to fix it.
  16. ARCHIVED-Ranja Guest

    Zizzu@Antonia Bayle wrote:
    No. This math has no hidden assumptions. Look at the math. It does not even factor in Auto-attack. Lowering the casting time on Sniper will increase the DPS. Period.
  17. ARCHIVED-Zizzu Guest

    Ranja wrote:
    Your formula is based on per attack. Right? Increasing the cast time on Sniper would not increase it's dps since the recast timer is still the same. With that said, the only extra dps gain from taking the cast time from 4 seconds to 1 is basically what can be done with the 3 extra seconds gain within the recasting time (which is 15 minutes or 10 if you have the AA line).
    So, these 3 seconds gain within a 15/10 minute period is still small. A couple quick CAs can be fired off within that time. That's about it. A huge dps difference? I really don't think so.
  18. ARCHIVED-Ranja Guest

    Zizzu@Antonia Bayle wrote:
    Sorry man - you just are not getting it. I am talking about DPS efficiency of a spell on the assumption that you want to do the max damage in the shortest amount of time. This does not take into account recast.
    To work out the DPS Efficiency value of each of your spells, you need to first work out the average total damage that the CA deals (including any ticks if it has a duration component). Then divide this number by the casting time + recovery time that you have for that CA - the recovery time is 0.5s for each of your spells. You then need to order your CAs by the resulting number, so that when you come to cycling your CAs, you are always casting the highest available spell in the list.
    Looking at the above you get: (MinDamage +MaxDamage)/2 = Average hit
    DPS Efficiency = AverageHit/Cast Time + Recovery Time (which is .5 secs for all CAs).
    Wow, if I lower the Cast Time - look I increase the DPS Efficiency.
    If you wanted to take into accounts crits remember When a combat art crits its damage range goes from max+1 to max*(1,3+crit mod).
    Look at it this way. If Snipers takes 1 second to cast, I can also cast 2 other CAs before my auto-attack goes off, this also results in a net increase in DPS.
    I am not sure how to explain it any more clearer.
  19. ARCHIVED-Zizzu Guest

    Ranja wrote:
    Didn't I just stated that?? Please tell me you think the extra 2 CAs within a 15/10 minute period is huge dps bump? And yes, recast time is important here. Is there a small increase in dps? Sure. Is it game changing? No.
    You don't have spew formulas to me. The bottom line still comes out the same: 2 extra CAs within a 10 minute recast timer is not that big of a dps. It amounts to one engagement where a ranger will slightly increase his dps out by the measure of 2 CAs.
  20. ARCHIVED-Ranja Guest

(Someone pasted records of molecules at this point)
/*
# 1
CH6P4 | ωB97M-V/def2-TZVPD

ORCA input file:
```
! RIJCOSX wB97M-V def2-TZVPD def2/J DEFGRID3
* xyz 0 3
P -0.81377 0.20566 0.83697
P -2.20345 -1.10314 -0.21546
P 0.66291 0.55936 -0.72852
P -2.62507 1.01996 -0.08996
C 2.00796 -0.47914 0.00283
H -2.90703 -1.39049 0.96207
H 1.83324 -1.52938 -0.24137
H 2.02244 -0.35250 1.08658
H -2.03950 1.30267 -1.33256
H 2.96448 -0.16953 -0.41419
H 1.09781 1.93654 0.13361
*
```

Results
Relative energy (zero: lowest compared OMol25 entry of this formula, charge and spin): 0.434 eV


# 2
C28H35BCl39N4O5 | ωB97M-V/def2-TZVPD

ORCA input file:
```
! RIJCOSX wB97M-V def2-TZVPD def2/J DEFGRID3
* xyz 1 1
Cl 9.65468 3.41065 -2.47394
Cl -1.56693 -0.67876 5.04242
Cl 8.95848 -0.08699 -0.79518
Cl 3.51393 -0.43752 -5.50260
Cl 2.44963 5.44968 1.88668
Cl 8.29901 1.53465 -10.05451
Cl 6.65187 -7.57540 -3.18021
Cl 3.83146 0.04473 1.21092
Cl 11.38845 1.81998 -0.76394
Cl 5.29564 6.02896 1.72733
Cl -2.78444 -2.35283 2.99868
Cl 5.95683 -0.13880 -10.47530
Cl -3.38203 -2.21297 10.25666
Cl -8.45368 -6.43806 -0.65522
Cl -2.23935 -3.44491 5.64029
Cl -5.38868 -4.29901 9.97390
Cl 9.07342 -6.38953 -2.09056
Cl 0.77298 1.61086 -5.90220
Cl 8.73804 -2.97729 -1.01175
Cl 3.52478 0.47868 -1.64876
Cl -6.86877 -4.06811 -9.47715
Cl -7.31799 -2.60831 -6.13878
Cl -0.24295 -0.80934 -7.15585
Cl -7.65214 -1.01197 -3.72944
Cl -8.62623 -3.53722 -0.52143
Cl 6.08468 -0.40191 -0.57628
Cl 6.88086 -4.68323 -2.95685
Cl 12.51069 3.95820 -2.38642
Cl -4.99873 -4.77494 -7.36324
Cl -11.02465 -5.11874 -0.97605
Cl -5.31064 -2.08994 8.08235
Cl -4.11628 -4.74002 -10.13489
Cl 6.28116 -1.00960 -6.19812
Cl 11.15689 -1.78073 0.07746
Cl -2.09449 1.22423 -6.20818
Cl -6.99256 -3.83858 -3.52422
Cl 4.26699 3.57012 0.57653
Cl 8.58390 -1.35726 -10.19590
Cl 5.43513 -1.07563 -3.41560
O -2.22048 2.32044 4.19114
O -6.31327 2.68455 3.77979
O -3.99859 -1.66820 -0.43217
O -6.05058 0.91029 5.60982
O -4.67807 0.78601 3.56595
N -3.60422 2.62146 2.30390
N -4.37900 1.49645 2.44979
N -5.73150 -0.12664 1.17795
N -4.55851 1.89539 0.20069
C 3.91958 5.27457 0.91171
C 4.32482 -0.49108 -0.40234
C 1.81473 2.87354 7.51930
C 0.20506 2.52290 3.09361
C -3.73814 2.88519 0.89152
C -4.97376 0.97460 1.24190
C 11.10370 3.42224 -1.45731
C -9.45382 -5.06355 -0.16738
C 1.74831 2.68005 3.35793
C -0.33762 3.88270 0.96206
C -0.19469 2.63214 5.71534
C -5.47077 -5.06329 -9.04432
C -6.27665 -0.62633 -0.13895
C 7.53890 -0.02128 -9.69208
C -0.30516 2.37336 1.58387
C -4.34617 -3.15797 9.11399
C -0.54077 0.42558 -5.92505
C -0.79263 2.49603 4.27808
C 2.34755 2.81734 4.79593
C 0.76491 1.55618 0.67895
C -6.77842 -2.36121 -4.47466
C 4.95264 -1.38174 -5.08971
C 7.75503 -6.19406 -3.25355
C 1.33375 2.78788 5.99962
C -5.24217 -1.82347 -0.57678
C -2.84608 3.33231 3.38174
C 9.83808 -1.59390 -1.08756
C -2.70138 -1.99901 4.73193
B -5.73165 1.47815 4.33679
H 10.94409 4.12483 -0.64170
H 2.48858 2.71136 2.49768
H 4.01991 -1.52883 -0.52702
H 3.76076 5.78571 -0.03598
H 2.87674 2.44775 7.64342
H -1.24805 4.07722 0.29862
*/

    Zizzu@Antonia Bayle wrote:
    What I was trying to prove to you is that if you lower the cast time of sniper, you will raise the DPS of that art. Period. Regardless of any other factors. But you just dont seem to be getting that point.